### Brief
What is needed: return the listing below with every line break kept.

### File
Entry from the OMol25 dataset: a cluster of 6 separate species, C24H51N2O5 in total at a distorted geometry (ωB97M-V/def2-TZVPD).

Each line ends with the Mulliken charge.
Geometry (Å):
C1 3.636 -3.697 0.319  -0.793
C2 4.059 -2.115 0.378  -0.534
C3 2.889 -1.117 0.986  0.139
C4 1.613 -0.889 -0.019  -0.735
N1 0.579 -1.992 -0.004  0.240
N2 0.315 -2.473 1.268  -0.886
H1 2.780 -3.906 -0.477  0.126
H2 3.415 -4.183 1.373  0.219
H3 4.587 -4.282 -0.100  0.322
H4 4.396 -1.691 -0.683  0.249
H5 5.036 -2.053 1.061  0.256
H6 2.614 -1.448 2.075  0.294
H7 3.415 -0.050 1.096  -0.105
H8 1.043 0.146 0.154  0.090
H9 2.047 -0.837 -1.129  0.154
H10 0.776 -2.749 -0.696  0.132
H11 -0.390 -3.252 1.251  0.017
C5 -3.980 -0.778 1.936  -0.574
C6 -2.503 -0.477 1.905  -0.582
C7 -2.199 -0.538 0.424  -0.016
O1 -3.389 -0.129 -0.263  -0.362
C8 -4.469 -0.090 0.681  -0.531
H12 -4.481 -0.422 2.840  0.349
H13 -4.140 -1.859 1.857  0.278
H14 -2.323 0.536 2.282  0.262
H15 -1.900 -1.173 2.494  0.473
H16 -1.965 -1.561 0.108  0.109
H17 -1.367 0.113 0.140  -0.087
H18 -4.707 0.962 0.872  0.296
H19 -5.351 -0.575 0.253  0.258
C9 4.865 3.535 4.089  -0.172
C10 4.417 2.359 4.918  -0.655
C11 3.374 1.722 4.026  -0.441
O2 3.762 1.992 2.672  -0.339
C12 4.808 2.973 2.685  -0.578
H20 5.855 3.911 4.357  0.401
H21 4.146 4.357 4.191  -0.020
H22 5.256 1.668 5.064  0.303
H23 4.027 2.637 5.900  0.341
H24 2.387 2.170 4.186  0.274
H25 3.295 0.642 4.179  0.292
H26 5.744 2.467 2.422  0.270
H27 4.603 3.740 1.933  0.298
C13 -3.370 -0.026 -4.509  -0.558
C14 -3.756 -1.150 -5.435  -0.484
C15 -2.696 -2.187 -5.134  -0.178
O3 -2.322 -2.012 -3.760  -0.418
C16 -2.875 -0.775 -3.291  -0.075
H28 -4.191 0.660 -4.283  0.332
H29 -2.550 0.554 -4.949  0.300
H30 -4.745 -1.535 -5.159  0.174
H31 -3.783 -0.861 -6.489  0.395
H32 -1.802 -2.031 -5.746  0.275
H33 -3.053 -3.209 -5.291  -0.061
H34 -3.700 -1.015 -2.611  0.062
H35 -2.116 -0.218 -2.735  0.177
C17 4.477 8.780 5.391  -0.552
C18 3.293 9.035 4.495  -0.525
C19 3.059 7.671 3.883  -0.480
O4 3.479 6.702 4.853  -0.313
C20 4.200 7.379 5.892  -0.392
H36 4.582 9.508 6.199  0.327
H37 5.400 8.789 4.798  0.273
H38 2.426 9.326 5.100  0.255
H39 3.466 9.814 3.748  0.321
H40 3.669 7.529 2.984  0.279
H41 2.010 7.502 3.623  0.298
H42 3.564 7.396 6.784  0.271
H43 5.115 6.828 6.125  0.250
C21 -4.659 -7.273 -6.583  -0.548
C22 -5.340 -7.145 -5.245  -0.511
C23 -4.982 -5.730 -4.842  -0.448
O5 -4.850 -4.974 -6.054  -0.382
C24 -4.832 -5.885 -7.161  -0.378
H44 -5.084 -8.055 -7.218  0.333
H45 -3.594 -7.488 -6.439  0.268
H46 -6.425 -7.234 -5.370  0.256
H47 -5.017 -7.891 -4.514  0.318
H48 -4.020 -5.697 -4.321  0.280
H49 -5.742 -5.272 -4.203  0.319
H50 -5.788 -5.791 -7.687  0.240
H51 -4.026 -5.614 -7.849  0.267

Values from the calculation:
HOMO-LUMO gap ... 2.49 eV
E_HOMO ... -0.0106 hartree
Net charge ... -1

Entry from the OMol25 dataset: an isolated molecule of C4H8NOP at a distorted geometry (ωB97M-V/def2-TZVPD).

Each line ends with the Mulliken charge.
Geometry (Å):
C1 -1.336 -1.404 -0.202  -0.062
C2 -0.150 -0.615 0.157  0.382
C3 -0.884 1.719 -0.154  -1.246
C4 -0.248 0.690 0.784  -0.284
N1 1.085 -1.450 -0.195  -0.334
O1 -2.457 -0.997 -0.004  -0.491
P1 2.560 -0.896 0.265  -0.149
H1 -1.124 -2.482 -0.643  0.323
H2 -0.886 2.661 0.322  0.351
H3 -0.331 1.839 -1.029  0.392
H4 -1.835 1.369 -0.508  0.346
H5 -0.787 0.550 1.707  0.286

### Outcome
Entry from the OMol25 dataset: a cluster of 6 separate species, C24H51N2O5 in total at a distorted geometry (ωB97M-V/def2-TZVPD).

Each line ends with the Mulliken charge.
Geometry (Å):
C1 3.636 -3.697 0.319  -0.793
C2 4.059 -2.115 0.378  -0.534
C3 2.889 -1.117 0.986  0.139
C4 1.613 -0.889 -0.019  -0.735
N1 0.579 -1.992 -0.004  0.240
N2 0.315 -2.473 1.268  -0.886
H1 2.780 -3.906 -0.477  0.126
H2 3.415 -4.183 1.373  0.219
H3 4.587 -4.282 -0.100  0.322
H4 4.396 -1.691 -0.683  0.249
H5 5.036 -2.053 1.061  0.256
H6 2.614 -1.448 2.075  0.294
H7 3.415 -0.050 1.096  -0.105
H8 1.043 0.146 0.154  0.090
H9 2.047 -0.837 -1.129  0.154
H10 0.776 -2.749 -0.696  0.132
H11 -0.390 -3.252 1.251  0.017
C5 -3.980 -0.778 1.936  -0.574
C6 -2.503 -0.477 1.905  -0.582
C7 -2.199 -0.538 0.424  -0.016
O1 -3.389 -0.129 -0.263  -0.362
C8 -4.469 -0.090 0.681  -0.531
H12 -4.481 -0.422 2.840  0.349
H13 -4.140 -1.859 1.857  0.278
H14 -2.323 0.536 2.282  0.262
H15 -1.900 -1.173 2.494  0.473
H16 -1.965 -1.561 0.108  0.109
H17 -1.367 0.113 0.140  -0.087
H18 -4.707 0.962 0.872  0.296
H19 -5.351 -0.575 0.253  0.258
C9 4.865 3.535 4.089  -0.172
C10 4.417 2.359 4.918  -0.655
C11 3.374 1.722 4.026  -0.441
O2 3.762 1.992 2.672  -0.339
C12 4.808 2.973 2.685  -0.578
H20 5.855 3.911 4.357  0.401
H21 4.146 4.357 4.191  -0.020
H22 5.256 1.668 5.064  0.303
H23 4.027 2.637 5.900  0.341
H24 2.387 2.170 4.186  0.274
H25 3.295 0.642 4.179  0.292
H26 5.744 2.467 2.422  0.270
H27 4.603 3.740 1.933  0.298
C13 -3.370 -0.026 -4.509  -0.558
C14 -3.756 -1.150 -5.435  -0.484
C15 -2.696 -2.187 -5.134  -0.178
O3 -2.322 -2.012 -3.760  -0.418
C16 -2.875 -0.775 -3.291  -0.075
H28 -4.191 0.660 -4.283  0.332
H29 -2.550 0.554 -4.949  0.300
H30 -4.745 -1.535 -5.159  0.174
H31 -3.783 -0.861 -6.489  0.395
H32 -1.802 -2.031 -5.746  0.275
H33 -3.053 -3.209 -5.291  -0.061
H34 -3.700 -1.015 -2.611  0.062
H35 -2.116 -0.218 -2.735  0.177
C17 4.477 8.780 5.391  -0.552
C18 3.293 9.035 4.495  -0.525
C19 3.059 7.671 3.883  -0.480
O4 3.479 6.702 4.853  -0.313
C20 4.200 7.379 5.892  -0.392
H36 4.582 9.508 6.199  0.327
H37 5.400 8.789 4.798  0.273
H38 2.426 9.326 5.100  0.255
H39 3.466 9.814 3.748  0.321
H40 3.669 7.529 2.984  0.279
H41 2.010 7.502 3.623  0.298
H42 3.564 7.396 6.784  0.271
H43 5.115 6.828 6.125  0.250
C21 -4.659 -7.273 -6.583  -0.548
C22 -5.340 -7.145 -5.245  -0.511
C23 -4.982 -5.730 -4.842  -0.448
O5 -4.850 -4.974 -6.054  -0.382
C24 -4.832 -5.885 -7.161  -0.378
H44 -5.084 -8.055 -7.218  0.333
H45 -3.594 -7.488 -6.439  0.268
H46 -6.425 -7.234 -5.370  0.256
H47 -5.017 -7.891 -4.514  0.318
H48 -4.020 -5.697 -4.321  0.280
H49 -5.742 -5.272 -4.203  0.319
H50 -5.788 -5.791 -7.687  0.240
H51 -4.026 -5.614 -7.849  0.267

Values from the calculation:
HOMO-LUMO gap ... 2.49 eV
E_HOMO ... -0.0106 hartree
Net charge ... -1

Entry from the OMol25 dataset: an isolated molecule of C4H8NOP at a distorted geometry (ωB97M-V/def2-TZVPD).

Each line ends with the Mulliken charge.
Geometry (Å):
C1 -1.336 -1.404 -0.202  -0.062
C2 -0.150 -0.615 0.157  0.382
C3 -0.884 1.719 -0.154  -1.246
C4 -0.248 0.690 0.784  -0.284
N1 1.085 -1.450 -0.195  -0.334
O1 -2.457 -0.997 -0.004  -0.491
P1 2.560 -0.896 0.265  -0.149
H1 -1.124 -2.482 -0.643  0.323
H2 -0.886 2.661 0.322  0.351
H3 -0.331 1.839 -1.029  0.392
H4 -1.835 1.369 -0.508  0.346
H5 -0.787 0.550 1.707  0.286